Pentecost 20 B: Curing Our Heartsickness

Dear Partner in Preaching,

I don’t know about you, but as I kid I found these verses just terrifying. And, to be honest, my reaction as an adult hasn’t changed all that much. Here they are, just to focus our conversation:

“Jesus, looking at him, loved him and said, ‘You lack one thing; go, sell what you own, and give the money to the poor, and you will have treasure in heaven; then come, follow me.’ And when he heard this, he was shocked and went away grieving, for he had many possessions.”

“Children, how hard it is to enter the kingdom of God! It is easier for a camel to go through the eye of a needle than for someone who is rich to enter the kingdom of God.”

So here’s why these verses freaked me out as a kid. As the fourth of five kids in a pastor’s family, I definitely was not the richest kid at school. This was painfully apparent each fall when we’d go back-to-school shopping and skip past the sports stores that sold Puma, Nike, and Addidas sneakers and end up at Thom McCann. Do you remember Thom McCann? At one point it was the largest retail shoe store in the US, known for quality leather shoes at an affordable price. But when it came to sneakers, Thom McCann produced knock-offs of the poplar shoes that we could afford. And so each fall I’d arrive at school with shoes a lot like, yet painfully different from, the sneakers most of my friends were wearing.

At the same time, though, my mom grew up in India the daughter of a missionary, and you can only sit at the supper table protesting the lima beans in front of you and listen about the starving children in India so many times before you realize that compared with almost any other part of the world, you are, in fact, quite well off.

Did that mean we were going to hell? Truth be told, I didn’t want to give up all I had. Knockoffs though they might be, my Thom McCann specials still beat showing up at school barefoot, and the thought of selling them so that I could send my lima beans to India was grievous indeed. And frankly it didn’t help much to have Mark point out that Jesus loved this rich man. If that’s love, I thought, I don’t want anything to do with it.

Later, of course, I would learn that one didn’t have to read this passage literally. Turns out there’s a pseudo-historical approach where the eye of a needle is really this small door in a larger gate into Jerusalem where the camels would have to be unpacked before entering in. (I call this pseudo-historical because, as it turns out, there is no such door; this was a fiction of the nineteenth century in order to spiritualize the passage.) Nevertheless, it’s a popular interpretation. No wonder. As I learned in Inter Varsity while at college, what Jesus really meant was that we needed to unburden ourselves of whatever might be keeping us from relying on God. That might be wealth, but it might not be, and I preferred to focus on the spiritual things that might be keeping me from the kingdom rather than the material.

Later, still, I learned there was a more excellent way yet to read this passage. All I needed was some good old Lutheran theology which I picked up in seminary. Here I discovered that Jesus really didn’t mean what he said at all. This wasn’t about wealth, not really; it was about our absolute inability to merit salvation and our utter dependence on God’s mercy alone. To be honest, that interpretation still appeals to me, because as long as I keep my mind on my sin and God’s grace, my wealth hardly enters the picture at all.

But to tell you the truth, every now and then I wonder if I wasn’t a little closer to the mark when I was a kid. I mean, I think God really does care about what we do with our wealth, and I wouldn’t be surprised at all if Jesus does want us to sell what we have and care for the poor. Oh, don’t get me wrong. I don’t think anything we do will win us salvation. The theology I learned in seminary – no matter how badly I’ve misapplied it over the years – is still right: salvation is ours by God’s sheer mercy alone. I mean, good Lord, there’s not much any of us can do to inherit anything except to wait for the one who owns what we want to die, and when it comes to eternal life that happened on the cross. And so there is nothing for us to do, nothing we can do, to secure our heavenly home. Jesus says the same: “for humans it is impossible, but with God all things are possible.”

**Calculated crystals from another source follow**
........
# CsMoO

CsMoO after structural relaxation (PBE+U, the Alexandria database).

a = 3.5870 Å, b = 3.5873 Å, c = 13.4202 Å
α = 90.80°, β = 94.66°, γ = 90.00°
With the nearest neighbours (Å) after each atom.
Positions (direct):
Mo 0.7637 0.2524 0.5451  1 O 1.83
Cs 0.6642 0.2352 0.2182  4 O 2.87
O 0.1945 0.7405 0.3179  1 Mo 1.83
Cs 0.3358 0.7648 0.7818  4 O 2.87
Mo 0.2363 0.7476 0.4549  1 O 1.83
O 0.8055 0.2595 0.6821  1 Mo 1.83

Values from the calculation:
SG ... No. 2
Total moment ... 0.1 μB per cell
Distance to the lowest polymorph of the same formula ... 44 meV per atom
Fermi-level density of states ... 2.86 states/eV per cell

~~~~~

Entry from Alexandria: crystalline Y3Ho5Sn12 at its relaxed geometry (GGA-PBE).

Its magnetization is 0.0 μB/f.u. As for the formation energy: -0.09 eV per atom. As for the energy: -736.503 eV/cell.

The space group is Ia-3d (No. 230) and the conventional cell measures 17.797, 17.797 and 17.797 Å, with angles of 90.00, 90.00 and 90.00 degrees. The asymmetric unit holds Y at (0.000, 0.250, 0.125), Ho at (0.000, 0.000, 0.000), Ho at (0.000, 0.250, 0.375) and Sn at (0.003, 0.078, 0.656).

~~~~~

DFT (SCAN) results for a crystal of Si2BAs relaxed with PBEsol.

Values from the calculation:
As for the uncorrected energy: -96.1 eV per cell. The formation energy without anion corrections comes out at -0.095 eV/atom. Its space-group type is I-42d, No. 122. Its crystal system is tetragonal.

Unit cell a=6.167 b=6.167 c=6.167 alpha=131.38 beta=131.38 gamma=71.21
Fractional positions:
1 Si 0.061 0.625 0.936
2 Si 0.375 0.311 0.436
3 Si 0.689 0.125 0.064
4 Si 0.875 0.939 0.564
5 B 0.000 0.000 0.000
6 B 0.750 0.250 0.500
7 As 0.250 0.750 0.500
8 As 0.500 0.500 0.000



DFT (SCAN) results for a crystal of Be2AlAs relaxed with PBEsol.

Values from the calculation:
As for the uncorrected energy: -35.3 eV per cell. Its formation energy is 131.5 kJ/mol of formula units. Its space-group type is P4mm, No. 99. Its crystal system is tetragonal.

Unit cell a=2.828 b=2.828 c=6.625 alpha=90.00 beta=90.00 gamma=90.00
Fractional positions:
1 Be 0.000 0.000 0.000
2 Be 0.500 0.500 0.171
3 Al 0.000 0.000 0.405
4 As 0.500 0.500 0.778



Please write out number 1 again, unchanged.
DFT (SCAN) results for a crystal of Si2BAs relaxed with PBEsol.

Values from the calculation:
As for the uncorrected energy: -96.1 eV per cell. The formation energy without anion corrections comes out at -0.095 eV/atom. Its space-group type is I-42d, No. 122. Its crystal system is tetragonal.

Unit cell a=6.167 b=6.167 c=6.167 alpha=131.38 beta=131.38 gamma=71.21
Fractional positions:
1 Si 0.061 0.625 0.936
2 Si 0.375 0.311 0.436
3 Si 0.689 0.125 0.064
4 Si 0.875 0.939 0.564
5 B 0.000 0.000 0.000
6 B 0.750 0.250 0.500
7 As 0.250 0.750 0.500
8 As 0.500 0.500 0.000

~~~~~

A relaxed Y2TmNbN4 crystal. Source: Alexandria via LeMat-Bulk, functional PBE.

Properties
Volume ... 13.32 Å³/atom
Energy relative to the elements, uncorrected ... -1.540 eV/atom
SG ... P2/m, No. 10
........

But what if this scene isn’t the liberal version of an altar call but instead is a healing story. Did you ever notice, Dear Partner, that all the people in Mark’s gospel who kneel to Jesus and ask for a blessing either have some dread disease or are demon possessed. And almost every time Jesus orders someone to go, like he does this guy, it’s in relation to a healing.

So what if this guy isn’t just pious but sick, heart sick, and somewhere deep down he knows this and so seeks out Jesus with his question about heavenly entrance exams because he knows that whatever his appearance on the outside, whatever his faithful and pious life, he’s still missing something, something important, something that matters, something that’s a matter of life and death. If this is the case, then maybe Jesus really does love him. Maybe Jesus sees that all this guy has – his knowledge of the law, his perfect piety, his abundant wealth – has distorted his sense of himself, and of God, and of his neighbor. And so maybe Jesus tells him to divest so that he can really live by faith in God and in solidarity with neighbor for the first time in his life, which would be like having, when you think about it, treasure in heaven.

If this is true – and I’ll admit that it may be as much a stretch as the other readings – if this is true then Jesus might just be doing the same thing to us even now. That is, Jesus might be looking at us with love and, perceiving the deep heart sickness in each of us, actually asking something of us, giving us something to do, something to give up or away, somewhere to go. Now don’t get me wrong: this is not about our salvation; we are saved by grace through faith for Christ’s sake alone. But what if it doesn’t end there? Or better, what if, in one sense, it only starts there. That is, what if God isn’t only concerned about our eternal destiny but also cares about the life we enjoy here and now, with each other in God’s creation.

My goodness, but if that’s true, then maybe God’s gift of salvation can actually free us to do something: to love each other, to care for God’s people and world, to share the good news…right here, right now, wherever it may be that God has placed us. Not from any hope of winning God’s favor, but rather from a spontaneous kind of basking in God’s favor.

But of course that’s hard. Deep down we’re too scared (and often as a result too selfish) to do that for long, too scared and selfish and insecure and competitive and controlling and judgmental…and so many other things to boot. Because when push comes to shove, I have to admit that despite all the theology I’ve learned over the years I haven’t changed much since I was a kid. I mean, I still don’t feel like giving up all I have, especially now that I can buy whatever sneakers I want, eat at restaurants that don’t even have lima beans on the menu, and still send a little money to the World Hunger Appeal to help those starving kids in India.

Which is why Jesus comes and makes these demands, naming whatever idol we’ve created and asking us to give it up, throw it away, for the sake of our neighbor and ourselves.

What is it Jesus is asking of you and your congregation right now, Dear Partner? I have no idea. That’s something you and your people will need to figure out? But, if you’re anything like me, when you hear his voice first you’ll freeze, terrified that you’ve been found out, and grieving all the plans you’d made for the perfect life. But then you’ll hear him speak again, uttering a word that binds only to set free, that wounds only to heal, that kills only to make alive again. You’ll hear the voice, that is, that tells the truth: with humans, it is impossible, but with God, all things – all things, then and now – are possible.

Thanks be to God through Jesus Christ our Lord for this gift of grace…and for you and your call to proclaim it. Blessings on your preaching!

Yours in Christ,